{
  "formula": "C18H28N3OPtS",
  "method": "ωB97M-V with the def2-TZVPD basis set",
  "species": ["Pt", "N", "C", "C", "N", "H", "H", "H", "H", "H", "H", "H", "H", "C", "S", "O", "C", "C", "C", "C", "C", "C", "H", "H", "H", "H", "H", "H", "H", "H", "C", "N", "C", "C", "C", "C", "C", "C", "C", "C", "H", "H", "H", "H", "H", "H", "H", "H", "H", "H", "H", "H"],
  "xyz": [[0.963015, -0.422567, 0.457231], [3.181615, -1.303067, -0.297869], [4.052415, -1.099767, 0.856631], [3.349415, -1.614167, 2.111431], [2.140015, -0.821867, 2.344631], [3.105515, -2.289167, -0.528669], [3.541515, -0.816967, -1.110769], [4.218315, -0.025867, 0.962431], [5.021615, -1.601167, 0.743231], [4.042215, -1.551167, 2.959631], [3.059315, -2.659267, 1.974731], [2.420515, 0.144033, 2.525131], [1.627415, -1.178967, 3.148631], [2.127515, 3.791333, -0.619769], [1.878015, 1.992333, -0.345369], [2.509215, 1.697333, 0.967331], [0.108915, 2.145833, 0.042331], [-0.281585, 2.294433, 1.367731], [-1.627385, 2.438533, 1.663931], [-2.566885, 2.413233, 0.645031], [-2.167485, 2.289933, -0.677569], [-0.824085, 2.177333, -0.986069], [1.823815, 4.354433, 0.256931], [1.538415, 4.078233, -1.484669], [3.181815, 3.952633, -0.817469], [0.474415, 2.345433, 2.140631], [-1.938485, 2.570033, 2.689031], [-3.615685, 2.505533, 0.881431], [-2.898485, 2.298333, -1.470969], [-0.498485, 2.117633, -2.012869], [-3.716185, -1.262667, 0.288131], [-2.527585, -1.841767, 0.853131], [-1.838785, -1.088367, 1.844331], [-1.696785, -2.617367, -0.039469], [-1.203385, -1.838367, -1.253969], [-1.938985, -1.898767, -2.434269], [-1.499685, -1.257567, -3.577569], [-0.304785, -0.562267, -3.561869], [0.431515, -0.488467, -2.391269], [-0.033885, -1.078167, -1.210869], [-4.377485, -0.958867, 1.098431], [-4.232485, -2.012867, -0.309269], [-3.507085, -0.392167, -0.346269], [-2.442285, -0.249567, 2.178831], [-0.846085, -0.679367, 1.431931], [-1.594585, -1.720467, 2.703931], [-2.274585, -3.478067, -0.386069], [-0.838185, -2.979167, 0.532331], [-2.863185, -2.457967, -2.457069], [-2.077585, -1.324167, -4.485269], [0.062415, -0.090267, -4.461169], [1.373215, 0.054133, -2.402669]],
  "forces_ev_per_angstrom": [[-0.45, -3.40, -1.20], [-1.29, 0.35, 0.11], [0.09, -0.09, 0.61], [0.48, -0.06, -0.23], [0.08, 0.78, 0.64], [-0.10, 0.08, -0.07], [-0.17, 0.01, -0.09], [0.06, -0.09, -0.04], [-0.17, 0.05, -0.03], [-0.12, -0.09, -0.12], [0.05, 0.02, 0.05], [-0.08, -0.17, 0.29], [0.07, 0.19, -0.18], [0.15, -0.55, -0.03], [-0.77, 1.91, -0.35], [0.89, 0.12, 0.70], [0.22, -0.09, -0.29], [0.22, 0.06, 0.08], [-0.03, -0.03, -0.06], [-0.02, 0.00, 0.14], [0.12, 0.06, -0.12], [-0.03, -0.03, -0.01], [-0.11, -0.12, 0.17], [-0.08, 0.03, -0.13], [0.14, -0.03, -0.06], [0.02, -0.09, 0.03], [-0.04, 0.01, 0.09], [-0.12, 0.03, 0.02], [-0.08, 0.00, -0.07], [-0.02, -0.13, -0.14], [0.02, 0.24, -0.04], [0.13, -0.11, 0.47], [-0.25, -0.51, -0.30], [-0.06, 0.08, -0.01], [0.45, -0.03, 0.76], [0.24, 0.11, -0.09], [-0.22, -0.04, -0.04], [0.20, -0.12, -0.03], [0.09, -0.15, 0.03], [0.35, 1.38, -0.06], [-0.08, 0.03, -0.06], [-0.04, 0.00, -0.03], [-0.07, 0.06, -0.10], [0.12, 0.11, 0.02], [0.07, 0.25, 0.01], [0.37, 0.15, -0.05], [0.11, -0.03, 0.00], [-0.11, -0.11, -0.05], [-0.05, -0.17, 0.02], [-0.08, 0.02, -0.12], [0.03, 0.06, -0.08], [-0.13, 0.02, 0.04]],
  "total_charge": 1,
  "de_lowest_ev": 1.0307
}

~~~~~

The following is a DFT calculation (ωB97M-V/def2-TZVPD) of an isolated ion of composition C4H7N2 and charge +1 at a distorted geometry.

* net charge: +1
* frontier orbital gap (spin up / spin down): 0.3093 / 0.3822 Eh
* 2S+1: 3
* highest occupied orbital energy (spin up / spin down): -12.13 / -15.80 eV
* lowest unoccupied orbital energy (spin up / spin down): -3.7 / -5.4 eV
* E: -265.63527 Eh
* strongest force on any atom: 0.114 hartree/bohr
* ΔE to the lowest compared entry with this formula, charge and spin: 234.3 kJ/mol

Last column: Löwdin charge in e.
Cartesian coordinates (Å):
N 1.6022 -0.3174 -0.6470  0.099
N -0.1092 -0.0497 1.2640  0.118

What is needed: write out the data above from the first line to the one with "total_charge" unchanged.

{
  "formula": "C18H28N3OPtS",
  "method": "ωB97M-V with the def2-TZVPD basis set",
  "species": ["Pt", "N", "C", "C", "N", "H", "H", "H", "H", "H", "H", "H", "H", "C", "S", "O", "C", "C", "C", "C", "C", "C", "H", "H", "H", "H", "H", "H", "H", "H", "C", "N", "C", "C", "C", "C", "C", "C", "C", "C", "H", "H", "H", "H", "H", "H", "H", "H", "H", "H", "H", "H"],
  "xyz": [[0.963015, -0.422567, 0.457231], [3.181615, -1.303067, -0.297869], [4.052415, -1.099767, 0.856631], [3.349415, -1.614167, 2.111431], [2.140015, -0.821867, 2.344631], [3.105515, -2.289167, -0.528669], [3.541515, -0.816967, -1.110769], [4.218315, -0.025867, 0.962431], [5.021615, -1.601167, 0.743231], [4.042215, -1.551167, 2.959631], [3.059315, -2.659267, 1.974731], [2.420515, 0.144033, 2.525131], [1.627415, -1.178967, 3.148631], [2.127515, 3.791333, -0.619769], [1.878015, 1.992333, -0.345369], [2.509215, 1.697333, 0.967331], [0.108915, 2.145833, 0.042331], [-0.281585, 2.294433, 1.367731], [-1.627385, 2.438533, 1.663931], [-2.566885, 2.413233, 0.645031], [-2.167485, 2.289933, -0.677569], [-0.824085, 2.177333, -0.986069], [1.823815, 4.354433, 0.256931], [1.538415, 4.078233, -1.484669], [3.181815, 3.952633, -0.817469], [0.474415, 2.345433, 2.140631], [-1.938485, 2.570033, 2.689031], [-3.615685, 2.505533, 0.881431], [-2.898485, 2.298333, -1.470969], [-0.498485, 2.117633, -2.012869], [-3.716185, -1.262667, 0.288131], [-2.527585, -1.841767, 0.853131], [-1.838785, -1.088367, 1.844331], [-1.696785, -2.617367, -0.039469], [-1.203385, -1.838367, -1.253969], [-1.938985, -1.898767, -2.434269], [-1.499685, -1.257567, -3.577569], [-0.304785, -0.562267, -3.561869], [0.431515, -0.488467, -2.391269], [-0.033885, -1.078167, -1.210869], [-4.377485, -0.958867, 1.098431], [-4.232485, -2.012867, -0.309269], [-3.507085, -0.392167, -0.346269], [-2.442285, -0.249567, 2.178831], [-0.846085, -0.679367, 1.431931], [-1.594585, -1.720467, 2.703931], [-2.274585, -3.478067, -0.386069], [-0.838185, -2.979167, 0.532331], [-2.863185, -2.457967, -2.457069], [-2.077585, -1.324167, -4.485269], [0.062415, -0.090267, -4.461169], [1.373215, 0.054133, -2.402669]],
  "forces_ev_per_angstrom": [[-0.45, -3.40, -1.20], [-1.29, 0.35, 0.11], [0.09, -0.09, 0.61], [0.48, -0.06, -0.23], [0.08, 0.78, 0.64], [-0.10, 0.08, -0.07], [-0.17, 0.01, -0.09], [0.06, -0.09, -0.04], [-0.17, 0.05, -0.03], [-0.12, -0.09, -0.12], [0.05, 0.02, 0.05], [-0.08, -0.17, 0.29], [0.07, 0.19, -0.18], [0.15, -0.55, -0.03], [-0.77, 1.91, -0.35], [0.89, 0.12, 0.70], [0.22, -0.09, -0.29], [0.22, 0.06, 0.08], [-0.03, -0.03, -0.06], [-0.02, 0.00, 0.14], [0.12, 0.06, -0.12], [-0.03, -0.03, -0.01], [-0.11, -0.12, 0.17], [-0.08, 0.03, -0.13], [0.14, -0.03, -0.06], [0.02, -0.09, 0.03], [-0.04, 0.01, 0.09], [-0.12, 0.03, 0.02], [-0.08, 0.00, -0.07], [-0.02, -0.13, -0.14], [0.02, 0.24, -0.04], [0.13, -0.11, 0.47], [-0.25, -0.51, -0.30], [-0.06, 0.08, -0.01], [0.45, -0.03, 0.76], [0.24, 0.11, -0.09], [-0.22, -0.04, -0.04], [0.20, -0.12, -0.03], [0.09, -0.15, 0.03], [0.35, 1.38, -0.06], [-0.08, 0.03, -0.06], [-0.04, 0.00, -0.03], [-0.07, 0.06, -0.10], [0.12, 0.11, 0.02], [0.07, 0.25, 0.01], [0.37, 0.15, -0.05], [0.11, -0.03, 0.00], [-0.11, -0.11, -0.05], [-0.05, -0.17, 0.02], [-0.08, 0.02, -0.12], [0.03, 0.06, -0.08], [-0.13, 0.02, 0.04]],
  "total_charge": 1,